# Excerpt
┌──
CdWO4 | r2SCAN | relaxed

Unit cell a=5.906 b=5.047 c=5.089 alpha=88.80 beta=90.00 gamma=90.00
Sites, in units of the cell vectors:
W1 0.823 0.000 0.750
Cd1 0.309 0.500 0.750
O1 0.630 0.757 0.884
Cd2 0.691 0.500 0.250
O2 0.370 0.757 0.384
O3 0.630 0.243 0.616
O4 0.904 0.201 0.052
O5 0.904 0.799 0.448
O6 0.370 0.243 0.116
O7 0.096 0.201 0.552
O8 0.096 0.799 0.948
W2 0.177 0.000 0.250

crystal system	monoclinic
ΔE_f	-2.050	eV/atom
M_tot	0.00	μB/cell
└──

# Brief
Count the lines earlier on that contain the word "O3" and give the number alone, please.

# Outcome
1